Saturday, March 26, 2011


Give us enough tests to make us strong;
      enough vision and endurance to follow your way;
      enough patience to persist when the going is difficult;
      enough of reality to know our weaknesses;
            and enough humility to know these gifts come from you.
Go before us to prepare the way;
      walk behind us to be our protection;
            and walk beside us to be our companion.
-Richard Langford

Heavy Heart: Seasons of Relationship

I write often. Whether I'm copying down a great quote into my quote book, trying to compose something creative, or venting a burden out in methodical thought, writing is such a core part of who I am. One thing that has struck me particularly in the last year is that burdens relieved through writing can be a helpful reminder in the next time of trial. I can unload my heart onto a piece of paper, only to have the words speak back to me in the coming months. I obviously don't post these things on my public blog in general, but in this case I will post a segment of one such writing which has been relevant over and over throughout the year so far. It was written in the middle of September 2010.

Life certainly does come in seasons: not only the seasonal climate but the seasonal struggle of humanity. One point in particular that has been most acutely on my mind recently is that of relationship. Love, affection, devotion, compromise, and commitment all play essential roles in the health of any relationship. These relational components, however, are hard to grasp and even harder to maintain because participants in human relationship are fallible.

# Here the entry breaks off for data records
+++
{"formula": "MgTaAg2", "functional": "PBE-GGA", "state": "relaxed", "lattice_angstrom": [[5.810, -0.004, 0.000], [2.818, 5.081, 0.000], [-3.526, -3.878, 2.508]], "species": ["Ag", "Ag", "Mg", "Ta"], "frac_coords": [[0.004, 0.004, 0.000], [0.496, 0.496, 0.000], [0.250, 0.750, 0.500], [0.750, 0.250, 0.500]], "formation_enthalpy_0k_ev_per_atom": 0.400}

=====

{"formula": "MgTaAg2", "functional": "PBE-GGA", "state": "relaxed", "lattice_angstrom": [[-0.612, 1.925, 4.470], [2.643, -3.009, 2.833], [1.453, 2.311, -4.076]], "species": ["Ag", "Ag", "Mg", "Ta"], "frac_coords": [[0.000, 0.000, 0.000], [0.250, 0.750, 0.500], [0.500, 0.500, 0.000], [0.750, 0.250, 0.500]], "formation_enthalpy_0k_ev_per_atom": 0.474}

=====

Number 1: density 9.44 g/cm3, calculated total energy -4.387 eV/atom. Number 2: density 9.71 g/cm3, calculated total energy -4.313 eV/atom.
+++

As I learn and grow, I see more poignantly the reality of relationship; the day-to-day trudging through hurt, frustration, bitterness, regret, and guilt. The absolute vulnerability that comes with giving away one’s fragile heart and the shattering that can result.

Perhaps it is just the age and stage of my peer group, but whatever the cause, hearts are breaking, lives are changing, and reality is setting in. Innocence and naivety are now no longer reasonable claims as cause of downfall. Most people my age are embarking on adult life with open eyes and guarded hearts. The first experiences of deep hurt have stung and scarred the previously unblemished heart.

It is only the true and unwavering love of a pure and perfect Christ that can redeem and piece together the fragments of the human heart! Lean in to His embrace.

Friday, March 18, 2011

Rob Bell - A Conversation

In light of the controversy which surrounds Rob Bell and the issues of his theology which emphasises only one attribute of God above all other attributes, here is a dialogue worth watching:

(Click here, because the video won't embed properly.) :-/

And a couple great blog posts by:
Albert Mohler and Michael Krahn

Tuesday, March 15, 2011

In this Present Darkness {Burdened}

I’ve started writing this blog about 30 times, and have yet to come up with the best way to introduce such a heavy topic. Partly because I don’t think I’ll be able to do it justice, and partly because I don’t want to leave out anything important. Another factor in my hesitation is simply that I hate disagreeing with people. It causes me to feel nauseated and slightly lightheaded. On that note, I will embark on this journey of thought, and hopefully leave a crumb trail thick enough for a reader to follow.

All but one of my classes are in the field of political science. While most of these classes don’t dig fully into current political arguments, our discussions do hover right over the precipices of the disagreements which cause a great deal of dissention in our nation {in regard to both domestic and international policy}. With this type of dialogue consistently on my radar screen, I feel as though I’ve been able to put more educated thought into the organization of government and how I think and feel about it. {*Disclaimer* I am not about to launch into a rant of amateur political jargon here, I’m just presenting some of the foundation for my thoughts.}

While I do mostly identify with one theory of political thought, I identify first and foremost with my Lord and Savior: Jesus Christ. I enjoy reading of, learning of, and realizing His attributes and the ways in which I might live my life as an imperfect reflection of Him. In my studies and in conversations with various people who I greatly respect I feel very strongly that we {meaning all living human beings} are alive in the last days. I understand that “no one knows when that day or hour will come-not the angels in heaven, nor the Son, but only the Father {Matthew 24:36}.” But I do believe that while the day and hour escape us, the season is known. The duration of this season may extend for quite some time, but it is still a definite season. Why else would the Word of God include such a great deal of prophetic scriptures, but for us to catch a glimpse of His eternal plan? {“Certainly the sovereign Lord does nothing without first revealing his plan to his servants the prophets.”Amos 3:7} {Isaiah 46:8-13}

Prophecy that speaks of Jesus’ first coming was hard for the people of that time to understand. Yet, those of us in this age {and all the ages since the birth of Christ} can easily see how completely God fulfilled every promise He made prior to sending His son to live on earth. In the same way, it is has been, and still is, hard to see exactly how this end will occur. But the fuzzy edges of this prophecy jig-saw-puzzle are becoming clearer all the time.

Attached: records of crystals =
/*
Gd2MgHg: optimized geometry, PBE.

```
Gd2MgHg
1.0
3.4442 0.0000 0.0000
1.7221 2.9828 0.0000
1.7221 0.9943 11.7028
Hg Gd Mg
1 2 1
Direct
0.0000 0.0000 0.0000
0.9092 0.9092 0.2725
0.0908 0.0908 0.7275
0.5000 0.5000 0.5000
```

Values from the calculation:
- M_tot (Bohr magnetons per cell) = 14.86
- total DFT energy (no corrections) (Ry/atom) = -0.5433
- space group = R-3m (166)

Al6Ru: optimized geometry, PBE.

```
Al6Ru
1.0
-3.6468 -3.1766 1.2003
3.6342 -3.3718 -0.5039
2.0706 0.9254 8.7401
Ru Al
2 12
Direct
0.4640 0.4640 0.2500
0.5360 0.5360 0.7500
0.3193 0.6807 0.0000
0.6807 0.3193 0.5000
0.1418 0.1418 0.0991
0.9780 0.6180 0.2500
0.8582 0.8582 0.9009
0.0220 0.3820 0.7500
0.1418 0.1418 0.4009
0.3193 0.6807 0.5000
0.3820 0.0220 0.7500
0.6807 0.3193 0.0000
0.6180 0.9780 0.2500
0.8582 0.8582 0.5991
```

Values from the calculation:
- M_tot (Bohr magnetons per cell) = 0.00
- total DFT energy (no corrections) (Ry/atom) = -0.3576
- space group = Cmcm (63)
*/
Here the piece continues =

To bring this full circle, I included politics into the first section of this blog to explain the way I am seeing the world from a perspective that is new to me. While I’ve always enjoyed digging into theology, I haven’t always seen a connection between the global political structure and prophetic theology. With recent political upheaval in Northern Africa and the Middle East, the dependently suffering international economy, the devastation of natural disasters, the persecution of Christians, and the ever increasing population of religions contrary to Christianity, I find that there is hardly a doubt that this is the season of the end of the age.

With that, my first instinct is to fear and my human nature thinks “But GOD, I am still so young and I want so badly to live a life worthy of You!” {My human nature also thinks even more selfish and petty things like “will the end come before I’ve ever experienced true romantic love with the right man?” *hopeless/full romantics can bring such a thought into any deep theological and political conversation*} But after this flash of fear and selfishness, I am repeatedly soothed by the deep peace and love for Christ that radiates from my core. With the unimaginable felicity found in eternity, nothing on Earth could be worth any measure of fear and self-seeking pleasure.

“Jesus answered, ‘I am the way and the truth and the life. No one comes to the Father except through me. {John 14:6}’”